

中国船检 2010年12期

本刊记者 徐 华


本刊记者 徐 华













在积极参与国际舞台角逐的同时,CCS的规范科研实现适时应用。以强化IMO、IACS和ACS(亚洲船级社协会)工作为着力点,从而在国际参与能力上由“跟进型”向“主导型”转变。在CCS的25项规范科研项目中,包含子项目50项,其中包括“基于IMO GBS规则要求的规范基础性研究”、“绿色船舶框架体系研究”、“大型汽车运输船结构规范”等重大项目。









Half a century ago, with the rebirth of China’s shipping and shipbuilding industry, China’s ship survey business was born bearing the mission to protect water safety and inspect shipping quality. After experiencing half a century’s development, China Classif i cation Society has continuously expanded its service scope, improved technical strength, strengthened both internal and external cooperation and fully improved the ability of carrying out the national missions.

Guarantee waterborne safety

When water ingress or oil spill happened to a ship on the sea due to collision, stranding, fi re, explosion or bad weather, seafarers and their managers should make efforts to reduce the loss of accidents ASAP through exact technical judgment. As the government’s assistant in dealing with the maritime accidents, CCS has introduced the 24-hour emergency response services which play an important role for government and shipping companies in decision making for ships in emergency cases.

Someone pasted materials data at this point:
=====
No. 1
This record from the Materials Project describes a relaxed NdAl8Cr4 crystal. The functional is GGA-PBE.

## Properties
The volume is 205.0 Å³/cell. The calculation puts the energy of formation at -192.8 meV/atom. Its density is 4.60 g/cm³.

Cell lengths 5.0601, 6.8489, 6.8489 Å; angles 82.16, 68.32, 68.32 degrees
Fractional coordinates of all 13 atoms:
Nd  0.0000  0.0000  0.0000
Al  0.0000  0.3408  0.6592
Al  0.0000  0.6592  0.3408
Al  0.6592  0.3408  0.3408
Al  0.3408  0.6592  0.6592
Al  0.5000  0.7739  0.2261
Al  0.5000  0.2261  0.7739
Al  0.7261  0.7739  0.7739
Al  0.2739  0.2261  0.2261
Cr  0.0000  0.0000  0.5000
Cr  0.5000  0.0000  0.5000
Cr  0.5000  0.5000  0.0000
Cr  0.0000  0.5000  0.0000


No. 2
This record from the Materials Project describes a relaxed NdAl20Cr2 crystal. The functional is GGA-PBE.

## Properties
The volume is 804.3 Å³/cell. The calculation puts the energy of formation at 68.5 meV/atom. Its density is 3.25 g/cm³.

Cell lengths 10.4387, 10.4387, 10.4387 Å; angles 60.00, 60.00, 60.00 degrees
Fractional coordinates of all 46 atoms:
Nd  0.5000  0.5000  0.5000
Nd  0.7500  0.7500  0.7500
Al  0.8624  0.8624  0.1376
Al  0.1376  0.1376  0.8624
Al  0.8624  0.1376  0.8624
Al  0.1376  0.8624  0.1376
Al  0.1376  0.8624  0.8624
Al  0.8624  0.1376  0.1376
Al  0.3876  0.3876  0.1124
Al  0.1124  0.1124  0.3876
Al  0.3876  0.1124  0.3876
Al  0.1124  0.3876  0.1124
Al  0.1124  0.3876  0.3876
Al  0.3876  0.1124  0.1124
Al  0.5701  0.3011  0.3011
Al  0.3011  0.5701  0.8277
Al  0.3011  0.8277  0.5701
Al  0.8277  0.3011  0.3011
Al  0.3011  0.3011  0.5701
Al  0.5701  0.8277  0.3011
Al  0.8277  0.5701  0.3011
Al  0.3011  0.3011  0.8277
Al  0.3011  0.5701  0.3011
Al  0.8277  0.3011  0.5701
Al  0.5701  0.3011  0.8277
Al  0.3011  0.8277  0.3011
Al  0.6799  0.9489  0.9489
Al  0.9489  0.6799  0.4223
Al  0.9489  0.4223  0.6799
Al  0.4223  0.9489  0.9489
Al  0.9489  0.9489  0.6799
Al  0.6799  0.4223  0.9489
Al  0.4223  0.6799  0.9489
Al  0.9489  0.9489  0.4223
Al  0.9489  0.6799  0.9489
Al  0.4223  0.9489  0.6799
Al  0.6799  0.9489  0.4223
Al  0.9489  0.4223  0.9489
Al  0.6250  0.1250  0.1250
Al  0.1250  0.6250  0.1250
Al  0.1250  0.1250  0.6250
Al  0.1250  0.1250  0.1250
Cr  0.1250  0.6250  0.6250
Cr  0.6250  0.1250  0.6250
Cr  0.6250  0.6250  0.1250
Cr  0.6250  0.6250  0.6250


No. 3
This record from the Materials Project describes a relaxed AlCrNi crystal. The functional is GGA-PBE.

## Properties
The volume is 76.5 Å³/cell. The calculation puts the energy of formation at -30.9 meV/atom. Its density is 5.98 g/cm³.

Cell lengths 4.9087, 4.9087, 4.9087 Å; angles 127.85, 121.63, 82.07 degrees
Fractional coordinates of all 6 atoms:
Al  0.3603  0.1103  0.2500
Al  0.6397  0.8897  0.7500
Cr  0.0000  0.0000  0.5000
Cr  0.0000  0.5000  0.0000
Ni  0.0000  0.5000  0.5000
Ni  0.5000  0.5000  0.0000


No. 4
This record from the Materials Project describes a relaxed AlCrNi2 crystal. The functional is GGA-PBE.

## Properties
=====
The entry goes on:

CCS has accepted the delegation form the Maritime Safety Administration under the Ministry of Transport to conduct condition assessment for import ships and control the ship’s safety and quality since the date the ships fly China fl ag to exclude the low standard ships outside the fleet. For ships in operation, CCS has set up an active PSC management policy, exchanging with domestic shipowners regularly, helping shipping companies solve technical problems and promote safety and quality management, and ensuring that China fl ag ships maintain a very low PSC detention ratio. Especially, CCS put a lot of efforts on the docking repair of aged ships, assigning senior surveyors to enhance quality control during docking repair and ensure that ships out of delivery will have not structural deficiencies in a relatively longer period, and provides guarantees for the smooth operation of shipping enterprises through strong quality control.

Inf l uence comes from strength

As the national ship inspection body of China, CCS has the obligation to provide the latest international maritime information for relevant government bodies and the industry, notify the situation about the development of international conventions and regulations that CCS has participated in so that the industry can prepare at an earlier stage and seek the better development environment .

With the aggravated oversupply of global shipping and shipbuilding market and the requirement on environment protection from developed countries going more and more stringent, the competition on international maritime technical standards lead by the national interest is escalating. This will generate a huge impact on China’s shipping, shipbuilding and related manufacturing industries. If we cannot keep abreast of the developing trend and the fi rst hand resources, we will certainly fall into the passive position. For a long time, CCS has actively participated in the relevant work of IACS and IMO, and has played an important role trying to maintain and protect the development interests of our country’s shipping,shipbuilding and related manufacturing industries.

While actively participating in competition on the international stage, CCS has realized the timely application of its rules and researches. Through enhancing its participation in the work of IMO, IACS and ACS, CCS is trying to transfer its international participation from merely the “follow” type” to gradually the “lead” type. Among the 25 rules and research items of CCS (or 50 items including the sub-items),we can see the “basic research on the rules following IMO GBS standards , “research on the framework system of green ship rules” and “research on the structural rules of largesize auto carriers” and etc.

Unite with industrial resources

CCS has since actively played the important role of working as a professional risk management body in the shipping sector, and vigorously promoted the industrial cooperation and alliance among the steel manufacturing,shipbuilding, shipping, logistics, fi nancing and insurance industries of China through providing safety guarantees and information services.

After the outbreak of financial crisis, CCS put forward using the capital tache to integrate the industries and resist the finical crisis, and supported our country’s shipping finance to make historic breakthrough. CCS has signed strategic cooperation agreements with the representative enterprises from the industries including PetroChina, CNOOC subsidiary, CSIC, CCCC, Zhenhua Port Machinery, Grand China Logistics, Jinhaiwan Heavy Industry, Anshan Iron and Steel Group Corporation,Chongqing Iron & Steel and participated in promoting the establishment of the national brands.

-- Inserted here: records of crystals --
-- begin --
{
  "formula": "Ni5O11",
  "functional": "GGA+U",
  "state": "optimized geometry",
  "lattice": [[-1.306, 3.376, -3.316], [-2.078, -6.811, -2.441], [-4.079, 3.805, 3.006]],
  "species": ["Ni", "Ni", "Ni", "Ni", "Ni", "O", "O", "O", "O", "O", "O", "O", "O", "O", "O", "O"],
  "frac_coords": [[0.804, 0.602, 0.007], [0.602, 0.202, 0.996], [0.400, 0.800, 0.000], [0.198, 0.398, 0.004], [0.996, 0.998, 0.993], [0.156, 0.527, 0.832], [0.956, 0.130, 0.819], [0.756, 0.723, 0.827], [0.558, 0.334, 0.829], [0.355, 0.937, 0.808], [0.242, 0.266, 0.171], [0.044, 0.877, 0.173], [0.844, 0.470, 0.181], [0.644, 0.073, 0.168], [0.445, 0.663, 0.192], [0.400, 0.800, 0.500]],
  "m_tot_mub_per_atom": 0.0001,
  "sg": "P-1 (2)",
  "rho_g_cm3": 4.15,
  "formation_energy_ev_per_atom": -0.557
}


{
  "formula": "FeO2F",
  "functional": "GGA+U",
  "state": "optimized geometry",
  "lattice": [[2.444, 4.396, 0.000], [-2.444, 4.396, 0.000], [0.000, 2.223, 4.331]],
  "species": ["Fe", "Fe", "O", "O", "O", "O", "F", "F"],
  "frac_coords": [[0.500, 0.000, 0.500], [0.000, 0.500, 0.000], [0.365, 0.059, 0.126], [0.941, 0.635, 0.374], [0.059, 0.365, 0.626], [0.635, 0.941, 0.874], [0.297, 0.703, 0.750], [0.703, 0.297, 0.250]],
  "m_tot_mub_per_atom": 1.2500,
  "sg": "C2/c (15)",
  "rho_g_cm3": 3.81,
  "formation_energy_ev_per_atom": -1.257
}


{
  "formula": "NaNiO2",
  "functional": "GGA+U",
  "state": "optimized geometry",
  "lattice": [[-0.098, -1.408, -2.614], [-1.083, -1.309, 2.521], [-9.768, 4.065, -1.580]],
  "species": ["Na", "Na", "Ni", "Ni", "O", "O", "O", "O"],
  "frac_coords": [[0.674, 0.336, 0.250], [0.326, 0.663, 0.750], [0.000, 0.000, 0.500], [0.000, 0.000, 0.000], [0.357, 0.655, 0.402], [0.644, 0.346, 0.598], [0.644, 0.299, 0.902], [0.355, 0.700, 0.098]],
  "m_tot_mub_per_atom": 0.2500,
  "sg": "P-1 (2)",
  "rho_g_cm3": 4.56,
  "formation_energy_ev_per_atom": -1.316
}


{
  "formula": "Mn5P4H10O20",
  "functional": "GGA+U",
  "state": "optimized geometry",
  "lattice": [[4.628, 8.926, 0.000], [-4.628, 8.926, 0.000], [0.000, 1.067, 9.555]],
  "species": ["Mn", "Mn", "Mn", "Mn", "Mn", "Mn", "Mn", "Mn", "Mn", "Mn", "P", "P", "P", "P", "P", "P", "P", "P", "H", "H", "H", "H", "H", "H", "H", "H", "H", "H", "H", "H", "H", "H", "H", "H", "H", "H", "H", "H", "O", "O", "O", "O", "O", "O", "O", "O", "O", "O", "O", "O", "O", "O", "O", "O", "O", "O", "O", "O", "O", "O", "O", "O", "O", "O", "O", "O", "O", "O", "O", "O", "O", "O", "O", "O", "O", "O", "O", "O"],
-- stop --

CCS persisted in the principle of “technical authority,service impartiality, business internationalism”, which is the important reason why class societies can continuously maintain prosperity for more than 200 years. With the continuous evolvement of the social requirements on safety, environmental protection, energy efficiency and security, closer cooperation between CCS and related enterprises on the industrial chain will have a far reaching inf l uence upon integrating industrial resources and improving industrial cooperation.

To Improve the Ability of Mission Performance

Reporter Xu Hua

